[Input]
+++
Entry from OMol25: the molecule C8H8N2O in a non-equilibrium geometry (wB97M-V/def2-TZVPD).

Last column: natural (NBO) charge in e.
Atoms and positions in Å:
1 C 3.28 0.73 0.28  -0.261
2 O 1.93 0.94 -0.02  -0.534
3 C 1.16 -0.36 -0.21  0.350
4 C -0.30 -0.19 -0.13  -0.024
5 C -1.07 -1.24 0.38  -0.227
6 C -2.44 -1.10 0.46  -0.194
7 C -3.05 0.07 0.03  -0.208
8 C -2.28 1.11 -0.47  -0.204
9 C -0.91 0.98 -0.55  -0.206
10 N 1.78 -1.37 -1.00  -0.057
11 N 1.81 -1.56 0.22  -0.083
12 H 3.85 0.43 -0.61  0.171
13 H 3.40 -0.03 1.06  0.178
14 H 3.65 1.68 0.65  0.200
15 H -0.59 -2.14 0.71  0.221
16 H -3.04 -1.91 0.85  0.215
17 H -4.12 0.17 0.10  0.215
18 H -2.76 2.02 -0.81  0.216
19 H -0.29 1.78 -0.94  0.232

- Energy above the lowest of the compared OMol25 structures with the same formula, charge and spin: 80.0 kcal/mol
- Maximum force: 3.44 eV/A
- Gap between HOMO and LUMO: 9.487 eV
- Energy: -13450.7598 eV

----------

Model 1:
# C2H2Cl2FNO

C2H2Cl2FNO in the gas phase (ωB97M-V/def2-TZVPD, OMol25).

Its HOMO energy is -10.62 eV. Its frontier orbital gap is 11.07 eV. Its SMILES is O/N=C\C(F)(Cl)Cl. As for the spin multiplicity: 1.

Bonds (Å) are listed after each position.
CARTESIAN COORDINATES (ANGSTROEM)
1 C -0.6830 0.3402 0.3881  C2 1.523, H4 1.098, N5 1.274
2 C -0.2296 -1.0551 -0.0217  C1 1.523, F7 1.343, Cl8 1.777, Cl9 1.792
3 H 1.3790 2.2725 -0.4823  O6 0.962
4 H -1.7396 0.4075 0.6776  C1 1.098
5 N -0.0747 1.4511 0.2463  C1 1.274, O6 1.375
6 O 1.2327 1.3735 -0.1720  H3 0.962, N5 1.375
7 F -1.0894 -1.9122 0.5513  C2 1.343
8 Cl -0.1987 -1.3924 -1.7659  C2 1.777
9 Cl 1.4033 -1.4851 0.5786  C2 1.792

Mulliken population analysis, charges in e, atoms 1 to 2:
1 C -0.1002
2 C 0.5526


Model 2:
# C2H2Cl2FNO

2 unconnected molecules or ions with the total composition C2H2Cl2FNO (ωB97M-V/def2-TZVPD, OMol25).

Its HOMO energy (spin up / spin down) is -9.50 / -8.84 eV. Its frontier orbital gap (spin up / spin down) is 8.63 / 7.49 eV. As for the spin multiplicity: 1.

Bonds (Å) are listed after each position.
CARTESIAN COORDINATES (ANGSTROEM)
1 C 0.1216 -0.1770 -1.0533  N3 1.340, O4 1.213, H8 1.122
2 C -0.9775 2.8498 -0.9104  F5 1.302, Cl6 1.694, Cl7 1.656
3 N -0.1491 0.7104 -0.0859  C1 1.340, H9 1.003
4 O 0.2014 -0.1743 -2.2632  C1 1.213
5 F -1.6744 3.2792 0.1025  C2 1.302
6 Cl -1.8396 2.4042 -2.2991  C2 1.694
7 Cl 0.4370 3.7051 -1.0163  C2 1.656
8 H 0.2926 -1.0329 -0.3476  C1 1.122
9 H -0.7453 0.4409 0.6748  N3 1.003

Mulliken population analysis, charges in e, atoms 1 to 2:
1 C 0.1991
2 C 0.4510


Unit: hartree. Relative energies: model 1 0.0000; model 2 0.0614.


Model 1:
# C4H12NO

2 unconnected molecules or ions with the total composition C4H12NO (ωB97M-V/def2-TZVPD, OMol25).

Its HOMO energy (spin up / spin down) is -18.63 / -18.47 eV. Its frontier orbital gap (spin up / spin down) is 9.50 / 3.08 eV. As for the total charge: +2. Its expectation value of S² is 0.75. As for the spin multiplicity: 2.

Bonds (Å) are listed after each position.
CARTESIAN COORDINATES (ANGSTROEM)
1 C 0.7450 0.0073 -2.5355  C2 1.493, H6 1.119, H7 1.162, H8 1.086
2 C 0.6755 -0.9679 -1.4073  C1 1.493, C3 1.602, H9 1.086, H10 1.116
3 C -0.3769 -0.6162 -0.2513  C2 1.602, N5 1.500, H11 1.095, H12 1.087
4 C 0.5322 -0.1780 1.9757  N5 1.284, H13 1.085, H14 1.084
5 N 0.1153 -1.0246 1.1054  C3 1.500, C4 1.284, H15 1.022
6 H 1.6040 -0.1919 -3.2243  C1 1.119
7 H -0.1225 -0.3287 -3.2309  C1 1.162
8 H 0.6657 1.0550 -2.2596  C1 1.086
9 H 0.3340 -1.9406 -1.7477  C2 1.086
10 H 1.6540 -0.9463 -0.8717  C2 1.116
11 H -0.4353 0.4759 -0.1978  C3 1.095
12 H -1.3772 -1.0266 -0.3647  C3 1.087
13 H 0.5042 0.8669 1.6845  C4 1.085
14 H 0.7590 -0.6140 2.9421  C4 1.084
15 H -0.2332 -1.9282 1.4308  N5 1.022
16 H -1.3393 3.1454 2.1570  O18 0.970
17 H -2.2576 2.0309 2.6389  O18 0.955
18 O -1.4469 2.1816 2.1564  H16 0.970, H17 0.955

Mulliken population analysis, charges in e, atoms 1 to 2:
1 C -0.7195
2 C -0.2140


Model 2:
# C4H12NO
+++

[Wanted]
Your job: restate all of the material earlier on unchanged.

[Written answer]
Entry from OMol25: the molecule C8H8N2O in a non-equilibrium geometry (wB97M-V/def2-TZVPD).

Last column: natural (NBO) charge in e.
Atoms and positions in Å:
1 C 3.28 0.73 0.28  -0.261
2 O 1.93 0.94 -0.02  -0.534
3 C 1.16 -0.36 -0.21  0.350
4 C -0.30 -0.19 -0.13  -0.024
5 C -1.07 -1.24 0.38  -0.227
6 C -2.44 -1.10 0.46  -0.194
7 C -3.05 0.07 0.03  -0.208
8 C -2.28 1.11 -0.47  -0.204
9 C -0.91 0.98 -0.55  -0.206
10 N 1.78 -1.37 -1.00  -0.057
11 N 1.81 -1.56 0.22  -0.083
12 H 3.85 0.43 -0.61  0.171
13 H 3.40 -0.03 1.06  0.178
14 H 3.65 1.68 0.65  0.200
15 H -0.59 -2.14 0.71  0.221
16 H -3.04 -1.91 0.85  0.215
17 H -4.12 0.17 0.10  0.215
18 H -2.76 2.02 -0.81  0.216
19 H -0.29 1.78 -0.94  0.232

- Energy above the lowest of the compared OMol25 structures with the same formula, charge and spin: 80.0 kcal/mol
- Maximum force: 3.44 eV/A
- Gap between HOMO and LUMO: 9.487 eV
- Energy: -13450.7598 eV

----------

Model 1:
# C2H2Cl2FNO

C2H2Cl2FNO in the gas phase (ωB97M-V/def2-TZVPD, OMol25).

Its HOMO energy is -10.62 eV. Its frontier orbital gap is 11.07 eV. Its SMILES is O/N=C\C(F)(Cl)Cl. As for the spin multiplicity: 1.

Bonds (Å) are listed after each position.
CARTESIAN COORDINATES (ANGSTROEM)
1 C -0.6830 0.3402 0.3881  C2 1.523, H4 1.098, N5 1.274
2 C -0.2296 -1.0551 -0.0217  C1 1.523, F7 1.343, Cl8 1.777, Cl9 1.792
3 H 1.3790 2.2725 -0.4823  O6 0.962
4 H -1.7396 0.4075 0.6776  C1 1.098
5 N -0.0747 1.4511 0.2463  C1 1.274, O6 1.375
6 O 1.2327 1.3735 -0.1720  H3 0.962, N5 1.375
7 F -1.0894 -1.9122 0.5513  C2 1.343
8 Cl -0.1987 -1.3924 -1.7659  C2 1.777
9 Cl 1.4033 -1.4851 0.5786  C2 1.792

Mulliken population analysis, charges in e, atoms 1 to 2:
1 C -0.1002
2 C 0.5526


Model 2:
# C2H2Cl2FNO

2 unconnected molecules or ions with the total composition C2H2Cl2FNO (ωB97M-V/def2-TZVPD, OMol25).

Its HOMO energy (spin up / spin down) is -9.50 / -8.84 eV. Its frontier orbital gap (spin up / spin down) is 8.63 / 7.49 eV. As for the spin multiplicity: 1.

Bonds (Å) are listed after each position.
CARTESIAN COORDINATES (ANGSTROEM)
1 C 0.1216 -0.1770 -1.0533  N3 1.340, O4 1.213, H8 1.122
2 C -0.9775 2.8498 -0.9104  F5 1.302, Cl6 1.694, Cl7 1.656
3 N -0.1491 0.7104 -0.0859  C1 1.340, H9 1.003
4 O 0.2014 -0.1743 -2.2632  C1 1.213
5 F -1.6744 3.2792 0.1025  C2 1.302
6 Cl -1.8396 2.4042 -2.2991  C2 1.694
7 Cl 0.4370 3.7051 -1.0163  C2 1.656
8 H 0.2926 -1.0329 -0.3476  C1 1.122
9 H -0.7453 0.4409 0.6748  N3 1.003

Mulliken population analysis, charges in e, atoms 1 to 2:
1 C 0.1991
2 C 0.4510


Unit: hartree. Relative energies: model 1 0.0000; model 2 0.0614.


Model 1:
# C4H12NO

2 unconnected molecules or ions with the total composition C4H12NO (ωB97M-V/def2-TZVPD, OMol25).

Its HOMO energy (spin up / spin down) is -18.63 / -18.47 eV. Its frontier orbital gap (spin up / spin down) is 9.50 / 3.08 eV. As for the total charge: +2. Its expectation value of S² is 0.75. As for the spin multiplicity: 2.

Bonds (Å) are listed after each position.
CARTESIAN COORDINATES (ANGSTROEM)
1 C 0.7450 0.0073 -2.5355  C2 1.493, H6 1.119, H7 1.162, H8 1.086
2 C 0.6755 -0.9679 -1.4073  C1 1.493, C3 1.602, H9 1.086, H10 1.116
3 C -0.3769 -0.6162 -0.2513  C2 1.602, N5 1.500, H11 1.095, H12 1.087
4 C 0.5322 -0.1780 1.9757  N5 1.284, H13 1.085, H14 1.084
5 N 0.1153 -1.0246 1.1054  C3 1.500, C4 1.284, H15 1.022
6 H 1.6040 -0.1919 -3.2243  C1 1.119
7 H -0.1225 -0.3287 -3.2309  C1 1.162
8 H 0.6657 1.0550 -2.2596  C1 1.086
9 H 0.3340 -1.9406 -1.7477  C2 1.086
10 H 1.6540 -0.9463 -0.8717  C2 1.116
11 H -0.4353 0.4759 -0.1978  C3 1.095
12 H -1.3772 -1.0266 -0.3647  C3 1.087
13 H 0.5042 0.8669 1.6845  C4 1.085
14 H 0.7590 -0.6140 2.9421  C4 1.084
15 H -0.2332 -1.9282 1.4308  N5 1.022
16 H -1.3393 3.1454 2.1570  O18 0.970
17 H -2.2576 2.0309 2.6389  O18 0.955
18 O -1.4469 2.1816 2.1564  H16 0.970, H17 0.955

Mulliken population analysis, charges in e, atoms 1 to 2:
1 C -0.7195
2 C -0.2140


Model 2:
# C4H12NO